DFT (PBE-GGA) results for an optimized crystal structure of MgTiGaGe2. Values from VASP.

Quantum ESPRESSO input file:
```
&SYSTEM
  ibrav = 0, nat = 5, ntyp = 4
/
ATOMIC_SPECIES
Ga 69.72 Ga.upf
Ge 72.64 Ge.upf
Mg 24.30 Mg.upf
Ti 47.87 Ti.upf
CELL_PARAMETERS angstrom
4.8654 0.0000 0.0000
0.0000 4.8571 0.0000
0.0000 0.0000 4.8654
ATOMIC_POSITIONS crystal
Ga 0.0000 0.5000 0.0000
Ge 0.5000 0.0000 0.0000
Ge 0.0000 0.0000 0.5000
Mg 0.0000 0.0000 0.0000
Ti 0.5000 0.5000 0.5000
```

The energy relative to the elements is 0.8616 eV/atom. As for the crystal system: tetragonal. The value obtained for the final energy is -17.44 eV/cell.


DFT (PBE-GGA) results for an optimized crystal structure of MnNbCoHSe. Values from VASP.

Quantum ESPRESSO input file:
```
&SYSTEM
  ibrav = 0, nat = 5, ntyp = 5
/
ATOMIC_SPECIES
Se 78.96 Se.upf
Nb 92.91 Nb.upf
H 1.01 H.upf
Mn 54.94 Mn.upf
Co 58.93 Co.upf
CELL_PARAMETERS angstrom
-1.5890 2.5500 -2.2083
-3.1390 -1.4449 0.5845
-2.1572 2.1102 4.1138
ATOMIC_POSITIONS crystal
Se 0.4077 0.0276 0.1232
Nb 0.4528 0.2948 0.5900
H 0.1754 0.7542 0.6711
Mn 0.8842 0.6107 0.9571
Co 0.9123 0.8877 0.4048
```

As for the crystal system: monoclinic. The value obtained for the final energy is -33.59 eV/cell. The calculation puts the energy above the most stable polymorph in this dataset at 0.0461 eV per atom.


DFT (PBE-GGA) results for an optimized crystal structure of Os2RhPb. Values from VASP.

Quantum ESPRESSO input file:
```
&SYSTEM
  ibrav = 0, nat = 4, ntyp = 3
/
ATOMIC_SPECIES
Os 190.23 Os.upf
Pb 207.20 Pb.upf
Rh 102.91 Rh.upf
CELL_PARAMETERS angstrom
-4.8143 0.4517 8.4984
-6.1288 -1.8464 7.3913
-3.6535 -2.1541 8.8100
ATOMIC_POSITIONS crystal
Os 0.7395 0.7395 0.7395
Pb 0.5000 0.5000 0.5000
Rh 0.0000 0.0000 0.0000
Os 0.2605 0.2605 0.2605
```

The energy relative to the elements is 0.8468 eV/atom. As for the crystal system: trigonal. The value obtained for the final energy is -30.13 eV/cell.


DFT (PBE-GGA) results for an optimized crystal structure of CeMgIn2Pd4. Values from VASP.

Quantum ESPRESSO input file:
```
&SYSTEM
  ibrav = 0, nat = 8, ntyp = 4
/
ATOMIC_SPECIES
Mg 24.30 Mg.upf
Pd 106.42 Pd.upf
Ce 140.12 Ce.upf
In 114.82 In.upf
CELL_PARAMETERS angstrom
4.7371 0.0000 0.0000
2.3686 4.1025 0.0000
2.3686 1.3675 7.7896
ATOMIC_POSITIONS crystal
Mg 0.5000 0.5000 0.5000
Pd 0.3844 0.3844 0.8468
Ce 0.0000 0.0000 0.0000
Pd 0.8737 0.8737 0.3789
In 0.7532 0.7532 0.7403
Pd 0.1263 0.1263 0.6211
In 0.2468 0.2468 0.2597
Pd 0.6156 0.6156 0.1532
```

The energy relative to the elements is -0.6535 eV/atom. As for the crystal system: trigonal. The value obtained for the final energy is -39.00 eV/cell.


DFT (PBE-GGA) results for an optimized crystal structure of NaSbTe2Pd. Values from VASP.

Quantum ESPRESSO input file:
```
&SYSTEM
  ibrav = 0, nat = 5, ntyp = 4
/
ATOMIC_SPECIES
Pd 106.42 Pd.upf
Na 22.99 Na.upf
Sb 121.76 Sb.upf
Te 127.60 Te.upf
CELL_PARAMETERS angstrom
5.5752 0.0000 0.0000
0.0000 5.5752 0.0000
0.0000 0.0000 5.0610
ATOMIC_POSITIONS crystal
Pd 0.0000 0.0000 0.0000
Na 0.5000 0.5000 0.5000
Sb 0.0000 0.0000 0.5000
Te 0.5000 0.0000 0.0000
Te 0.0000 0.5000 0.0000
```

As for the crystal system: tetragonal. The value obtained for the final energy is -17.20 eV/cell. The calculation puts the energy above the most stable polymorph in this dataset at 0.0000 eV per atom.


DFT (PBE-GGA) results for an optimized crystal structure of ZnHg2Bi2. Values from VASP.

Quantum ESPRESSO input file:
```
&SYSTEM
  ibrav = 0, nat = 5, ntyp = 3
/
ATOMIC_SPECIES
Bi 208.98 Bi.upf
Zn 65.41 Zn.upf
Hg 200.59 Hg.upf
CELL_PARAMETERS angstrom
-0.9369 0.6926 3.8363
-2.6726 -2.9865 -0.1135
4.7136 -7.0816 4.5248
ATOMIC_POSITIONS crystal
Bi 0.4183 0.4183 0.1634
Zn 0.0000 0.0000 0.0000
Hg 0.2500 0.7500 0.5000
Hg 0.7500 0.2500 0.5000
Bi 0.5817 0.5817 0.8366
```

What is needed: work out how many lines above have the word "Co" in them; a number is enough.

2